# 1
Starting from a DFT-relaxed cell (GGA-PBE, Alexandria), the X-ray powder pattern of Pr4NdDy4 was calculated for Cu Kα (λ = 1.5418 Å).
Peak positions follow from Bragg's law for the DFT cell and can differ from measured ones.

The 8 most intense peaks (10 to 90 degrees two-theta), by intensity:
| 2theta | d (Å) | intensity | hkl |
| --- | --- | --- | --- |
| 30.11 | 2.968 | 100.0 | 3 0 1 |
| 34.90 | 2.571 | 50.7 | 3 3 0 |
| 59.65 | 1.550 | 43.1 | 3 0 3 |
| 50.19 | 1.818 | 36.3 | 6 0 0 |
| 81.63 | 1.179 | 17.6 | 6 3 3 |
| 84.22 | 1.150 | 16.4 | 3 3 4 |
| 62.59 | 1.484 | 12.4 | 6 0 2 |
| 73.71 | 1.285 | 5.7 | 0 0 4 |

abc: 10.9089 10.9089 5.1388
angles: 90.00 90.00 90.00
Space group I4/mmm (No. 139)
One atom of each set of equivalent atoms:
1 Pr 0.1675 0.1675 0.0000
2 Nd 0.0000 0.0000 0.5000
3 Dy 0.0000 0.3363 0.5000

=====

# 2
Starting from a DFT-relaxed cell (GGA-PBE, Alexandria), the X-ray powder pattern of Pm2Y8Tm3 was calculated for Cu Kα (λ = 1.5418 Å).
Peak positions follow from Bragg's law for the DFT cell and can differ from measured ones.

The 8 most intense peaks (10 to 90 degrees two-theta), by intensity:
| 2theta | d (Å) | intensity | hkl |
| --- | --- | --- | --- |
| 31.53 | 2.838 | 100.0 | 3 5 0 |
| 29.92 | 2.986 | 99.9 | 2 1 1 |
| 31.67 | 2.825 | 97.1 | 1 4 1 |
| 34.59 | 2.593 | 89.0 | 3 1 1 |
| 31.21 | 2.865 | 61.3 | 1 7 0 |
| 11.42 | 7.749 | 54.8 | 1 2 0 |
| 36.46 | 2.464 | 46.8 | 0 6 1 |
| 31.80 | 2.814 | 43.3 | 4 2 0 |

abc: 11.6987 20.6887 3.5227
angles: 90.00 90.00 90.00
Space group Pbam (No. 55)
One atom of each set of equivalent atoms:
1 Pm 0.1783 0.0996 0.0000
2 Y 0.0463 0.5719 0.0000
3 Y 0.0551 0.8413 0.5000
4 Y 0.1293 0.2856 0.0000
5 Y 0.2088 0.4480 0.5000
6 Tm 0.0000 0.0000 0.5000
7 Tm 0.1454 0.7006 0.5000

=====

# 3
Starting from a DFT-relaxed cell (GGA-PBE, Alexandria), the X-ray powder pattern of Rb4Zr6CCl18 was calculated for Cu Kα (λ = 1.5418 Å).
Peak positions follow from Bragg's law for the DFT cell and can differ from measured ones.

The 8 most intense peaks (10 to 90 degrees two-theta), by intensity:
| 2theta | d (Å) | intensity | hkl |
| --- | --- | --- | --- |
| 11.26 | 7.856 | 100.0 | 1 1 -1 |
| 10.39 | 8.516 | 88.3 | 1 1 0 |
| 31.38 | 2.851 | 67.9 | 2 4 1 |
| 35.27 | 2.545 | 63.6 | 1 5 2 |
| 31.09 | 2.877 | 60.5 | 3 1 -3 |
| 13.79 | 6.422 | 53.9 | 0 2 1 |
| 23.04 | 3.860 | 46.4 | 1 3 -2 |
| 44.33 | 2.043 | 42.5 | 2 6 2 |

abc: 10.6541 17.8968 10.1478
angles: 90.00 114.66 90.00
Space group C2/m (No. 12)
One atom of each set of equivalent atoms:
1 Rb 0.1067 0.1622 0.3196
2 Zr 0.1321 0.5000 0.8678
3 Zr 0.1396 0.4092 0.1502
4 C 0.0000 0.5000 0.0000
5 Cl 0.0000 0.2979 0.0000
6 Cl 0.0090 0.3990 0.3100
7 Cl 0.1891 0.0000 0.6695
8 Cl 0.1977 0.1944 0.6729
9 Cl 0.1993 0.1016 0.9793
10 Cl 0.2173 0.0000 0.2792

~~~~~

Structure and computed powder X-ray diffraction pattern of Na2MgV2O6 (the PBE+U geometry in Alexandria; Cu Kα (λ = 1.5418 Å)).
Neutral-atom scattering factors, no anomalous dispersion.

Crystal structure
```
Na2MgV2O6
1.0
5.180 0.000 0.000
-2.590 4.486 0.000
0.000 0.000 5.717
Na Mg V O
2 1 2 6
Cartesian
0.000 2.991 0.000
2.590 1.495 0.000
0.000 0.000 2.858
0.000 2.991 2.858
2.590 1.495 2.858
-0.923 1.599 1.805
-1.667 2.887 3.912
1.846 0.000 1.805
0.923 1.599 3.912
3.334 0.000 3.912
1.667 2.887 1.805
```

Most intense lines, 5° ≤ 2θ ≤ 70°, low angle first:
hkl 0 0 1, 15.50°, I = 100; hkl 1 0 0, 19.79°, I = 37; hkl 0 0 2, 31.29°, I = 13; hkl 1 1 0, 34.63°, I = 41; hkl 1 0 2, 37.30°, I = 8; hkl 1 1 1, 38.15°, I = 35; hkl 1 1 2, 47.36°, I = 91; hkl 2 -1 3, 60.30°, I = 13; hkl 3 0 0, 62.07°, I = 26; hkl 3 0 1, 64.40°, I = 9

Could you write out the rows earlier on from the first line to the one with "13.79" character by character?

# 1
Starting from a DFT-relaxed cell (GGA-PBE, Alexandria), the X-ray powder pattern of Pr4NdDy4 was calculated for Cu Kα (λ = 1.5418 Å).
Peak positions follow from Bragg's law for the DFT cell and can differ from measured ones.

The 8 most intense peaks (10 to 90 degrees two-theta), by intensity:
| 2theta | d (Å) | intensity | hkl |
| --- | --- | --- | --- |
| 30.11 | 2.968 | 100.0 | 3 0 1 |
| 34.90 | 2.571 | 50.7 | 3 3 0 |
| 59.65 | 1.550 | 43.1 | 3 0 3 |
| 50.19 | 1.818 | 36.3 | 6 0 0 |
| 81.63 | 1.179 | 17.6 | 6 3 3 |
| 84.22 | 1.150 | 16.4 | 3 3 4 |
| 62.59 | 1.484 | 12.4 | 6 0 2 |
| 73.71 | 1.285 | 5.7 | 0 0 4 |

abc: 10.9089 10.9089 5.1388
angles: 90.00 90.00 90.00
Space group I4/mmm (No. 139)
One atom of each set of equivalent atoms:
1 Pr 0.1675 0.1675 0.0000
2 Nd 0.0000 0.0000 0.5000
3 Dy 0.0000 0.3363 0.5000

=====

# 2
Starting from a DFT-relaxed cell (GGA-PBE, Alexandria), the X-ray powder pattern of Pm2Y8Tm3 was calculated for Cu Kα (λ = 1.5418 Å).
Peak positions follow from Bragg's law for the DFT cell and can differ from measured ones.

The 8 most intense peaks (10 to 90 degrees two-theta), by intensity:
| 2theta | d (Å) | intensity | hkl |
| --- | --- | --- | --- |
| 31.53 | 2.838 | 100.0 | 3 5 0 |
| 29.92 | 2.986 | 99.9 | 2 1 1 |
| 31.67 | 2.825 | 97.1 | 1 4 1 |
| 34.59 | 2.593 | 89.0 | 3 1 1 |
| 31.21 | 2.865 | 61.3 | 1 7 0 |
| 11.42 | 7.749 | 54.8 | 1 2 0 |
| 36.46 | 2.464 | 46.8 | 0 6 1 |
| 31.80 | 2.814 | 43.3 | 4 2 0 |

abc: 11.6987 20.6887 3.5227
angles: 90.00 90.00 90.00
Space group Pbam (No. 55)
One atom of each set of equivalent atoms:
1 Pm 0.1783 0.0996 0.0000
2 Y 0.0463 0.5719 0.0000
3 Y 0.0551 0.8413 0.5000
4 Y 0.1293 0.2856 0.0000
5 Y 0.2088 0.4480 0.5000
6 Tm 0.0000 0.0000 0.5000
7 Tm 0.1454 0.7006 0.5000

=====

# 3
Starting from a DFT-relaxed cell (GGA-PBE, Alexandria), the X-ray powder pattern of Rb4Zr6CCl18 was calculated for Cu Kα (λ = 1.5418 Å).
Peak positions follow from Bragg's law for the DFT cell and can differ from measured ones.

The 8 most intense peaks (10 to 90 degrees two-theta), by intensity:
| 2theta | d (Å) | intensity | hkl |
| --- | --- | --- | --- |
| 11.26 | 7.856 | 100.0 | 1 1 -1 |
| 10.39 | 8.516 | 88.3 | 1 1 0 |
| 31.38 | 2.851 | 67.9 | 2 4 1 |
| 35.27 | 2.545 | 63.6 | 1 5 2 |
| 31.09 | 2.877 | 60.5 | 3 1 -3 |
| 13.79 | 6.422 | 53.9 | 0 2 1 |